Tuesday, September 30, 2008

There she grows again...

This first picture was taken around the end of september and the second one was taken the middle of july. Preemie diapers to size 2. Wow!

Friday, September 26, 2008

Because a smile is priceless

Baby's Day Out

Today we went to SPU in Seattle to visit Violet's aunt Angel. By we, I mean Grandpa Scott, Grandma Alicia, Uncle Given, Uncle Blessong, and of course...Auntie Showny. Since Showny and the grandparents continue to be amazed and impressed by Violets' every mood, these pictures suggest that they were the only ones there, but I assure you--there were others.

Auntie Showny, Violet, and Grandpa Scott under a tree on campus

Even though Violet is fast asleep here, Shown follows her like a little shadow in hopes that when Violet wakes, she can hold her first.

...let sleeping babies lie...

Auntie Showny and Grandpa Scott in Aunt Angel's dorm room

- - -
[1]
Calculated PXRD pattern of DyAs for Cu Ka, from a DFT-relaxed cell (PBE, OQMD).

Structural model:
```
data_DyAs
_chemical_formula_sum 'Dy3 As3'
_symmetry_space_group_name_H-M 'P 31 2 1'
_symmetry_Int_Tables_number 152
_cell_length_a 4.1100
_cell_length_b 4.1100
_cell_length_c 10.0932
_cell_angle_alpha 90.00
_cell_angle_beta 90.00
_cell_angle_gamma 120.00
loop_
_symmetry_equiv_pos_as_xyz
'x,y,z'
'-y,x-y,z+1/3'
'-x+y,-x,z+2/3'
'y,x,-z'
'x-y,-y,-z+2/3'
'-x,-x+y,-z+1/3'
loop_
_atom_site_label
_atom_site_type_symbol
_atom_site_fract_x
_atom_site_fract_y
_atom_site_fract_z
Dy1 Dy 0.0000 0.3311 0.1667
As1 As 0.0000 0.3350 0.6667
```

Top 6 peaks for 5 to 70 degrees two-theta, low angle first:
hkl  two_theta  I (rel.)
1 0 1  26.5  23
0 1 2  30.7  100
1 1 0  44.0  75
1 1 3  52.1  8
2 0 2  54.7  20
0 2 4  64.0  12

=====

[2]
Calculated PXRD pattern of DyErNi2As2 for Cu Ka, from a DFT-relaxed cell (PBE, OQMD).

Structural model:
```
data_DyErNi2As2
_chemical_formula_sum 'Dy2 Er2 Ni4 As4'
_symmetry_space_group_name_H-M 'P 63/m m c'
_symmetry_Int_Tables_number 194
_symmetry_space_group_name_Hall '-P 6c 2c'
_cell_length_a 4.0613
_cell_length_b 4.0613
_cell_length_c 15.1702
_cell_angle_alpha 90.00
_cell_angle_beta 90.00
_cell_angle_gamma 120.00
loop_
_atom_site_label
_atom_site_type_symbol
_atom_site_fract_x
_atom_site_fract_y
_atom_site_fract_z
Dy1 Dy 0.0000 0.0000 0.0000
Er1 Er 0.0000 0.0000 0.2500
Ni1 Ni 0.3333 0.6667 0.1346
As1 As 0.3333 0.6667 0.6215
```

Top 6 peaks for 5 to 70 degrees two-theta, low angle first:
hkl  two_theta  I (rel.)
1 0 0  25.3  17
1 0 4  34.8  100
1 1 0  44.6  43
0 0 8  48.0  11
2 0 4  57.8  23
1 1 8  67.6  23

=====

Record 1
# K2HgCl4
Computed PXRD pattern, Cu Ka. Input: DFT lattice parameters and positions (GGA-PBE).
Lines closer than 0.1° are merged.

Crystal structure
Cell lengths 13.649, 9.192, 8.119 Å; angles 90.00, 90.00, 90.00 degrees
Space group Pnma (No. 62)
Symmetry-distinct sites (fractional):
K 0.000 0.000 0.000 [4 per cell]
K 0.000 0.000 0.500 [4 per cell]
Hg 0.233 0.250 0.225 [4 per cell]
Cl 0.046 0.250 0.751 [4 per cell]
Cl 0.068 0.750 0.745 [4 per cell]
Cl 0.196 0.501 0.226 [8 per cell]

Main lines, sorted by position (5 to 70 degrees two-theta):
Position (°2θ)  I_rel  index
14.56  93.1  0 1 1
19.55  100.0  2 1 1
21.90  31.5  0 0 2
25.53  48.9  2 0 2
26.11  27.2  4 0 0
28.37  25.5  4 0 1
29.36  36.2  0 2 2
30.03  24.5  4 1 1
33.92  26.3  2 3 1
39.69  26.4  4 2 2

Record 2
# K2LiCeBr6
Computed PXRD pattern, Cu Ka. Input: DFT lattice parameters and positions (GGA-PBE).
Lines closer than 0.1° are merged.

Crystal structure
Cell lengths 11.221, 11.221, 11.221 Å; angles 90.00, 90.00, 90.00 degrees
Space group Fm-3m (No. 225)
Symmetry-distinct sites (fractional):
K 0.250 0.250 0.250 [8 per cell]
Li 0.000 0.000 0.000 [4 per cell]
Ce 0.000 0.000 0.500 [4 per cell]
Br 0.000 0.000 0.243 [24 per cell]

Main lines, sorted by position (5 to 70 degrees two-theta):
Position (°2θ)  I_rel  index
13.67  24.1  1 1 1
- - -

Grandpa and Grandma walking across campus while Violet gets a joyride.

Friday, September 19, 2008

Like mother, like daughter

Sleeping Beauty

This past week, Violet discovered her most faithful friend--her fingers. Here are a few pictures of bedtime etc...

Playing with Daddy before bed

Little elf baby wonders at the simple humor of the human parents...

Someone pasted materials data at this point >
This entry pairs a crystal structure of Na4AlCd2In with its simulated powder X-ray diffraction pattern. Radiation: Cu Kα. Structure: a DFT-relaxed cell (PBE, OQMD).

Principal peaks in the range 2θ = 15–90°, in order of rising 2θ:
d [Å]  2θ (°)  I/Imax  hkl
4.141  21.46  45  1 0 1
2.536  35.40  100  2 0 0
2.162  41.77  23  2 1 1
1.793  50.93  17  2 2 0
1.645  55.88  9  3 0 1
1.464  63.55  33  3 1 2
1.268  74.90  10  4 0 0
1.134  85.70  9  4 2 0

Structural model:
```
data_Na4AlCd2In
_chemical_formula_sum 'Na4 Al1 Cd2 In1'
_cell_length_a 5.0691
_cell_length_b 5.0691
_cell_length_c 7.1789
_cell_angle_alpha 90.00
_cell_angle_beta 90.00
_cell_angle_gamma 90.00
_space_group_name_H-M_alt 'P -4 m 2'
_space_group_IT_number 115
_space_group_name_Hall 'P -4 -2'
loop_
_atom_site_label
_atom_site_fract_x
_atom_site_fract_y
_atom_site_fract_z
Na1 0.0000 0.0000 0.0000
Na2 0.0000 0.5000 0.7445
Na3 0.5000 0.5000 0.5000
Al1 0.0000 0.0000 0.5000
Cd1 0.0000 0.5000 0.2650
In1 0.5000 0.5000 0.0000
```

----------

[1]
Calculated XRD peak list of LiNd3Ir8 for Cu Ka, from a cell relaxed with GGA-PBE.
Intensities are scaled so that the largest is 100.

Structure:
```
LiNd3Ir8
1.0
2.695 1.556 8.791
-2.695 1.556 8.791
0.000 -3.112 8.791
Li Nd Ir
1 3 8
direct
0.000 0.000 0.000
0.122 0.122 0.122
0.505 0.505 0.505
0.633 0.633 0.633
0.066 0.066 0.570
0.066 0.565 0.565
0.066 0.570 0.066
0.317 0.317 0.317
0.565 0.066 0.565
0.565 0.565 0.066
0.570 0.066 0.066
0.816 0.816 0.816
```

Most intense lines, 5° ≤ 2θ ≤ 70°, in order of rising 2θ:
2θ 19.31, rel. 2
2θ 20.19, rel. 32
2θ 25.48, rel. 2
2θ 30.49, rel. 2
2θ 33.26, rel. 13
2θ 39.22, rel. 100
2θ 41.04, rel. 60
2θ 47.75, rel. 15
2θ 52.34, rel. 8
2θ 59.43, rel. 5
2θ 63.44, rel. 32
2θ 69.83, rel. 30

[2]
Calculated XRD peak list of Mn2Pd6Au for Cu Ka, from a cell relaxed with GGA-PBE.
Intensities are scaled so that the largest is 100.

Structure:
```
Mn2Pd6Au
1.0
0.000 5.745 6.034
2.010 0.000 6.034
2.010 5.745 0.000
Mn Pd Au
2 6 1
direct
0.161 0.161 0.839
0.839 0.839 0.161
0.168 0.490 0.510
0.168 0.832 0.168
0.490 0.168 0.832
0.510 0.832 0.168
0.832 0.168 0.832
0.832 0.510 0.490
0.500 0.500 0.500
```

Most intense lines, 5° ≤ 2θ ≤ 70°, in order of rising 2θ:
2θ 14.68, rel. 5
2θ 21.36, rel. 5
2θ 24.59, rel. 7
2θ 29.61, rel. 2
2θ 33.15, rel. 4
2θ 34.59, rel. 3
2θ 39.47, rel. 100
2θ 44.49, rel. 3
2θ 45.09, rel. 34
2θ 47.48, rel. 14
2θ 65.67, rel. 11
2θ 67.55, rel. 19

[3]
Calculated XRD peak list of MoH2N for Cu Ka, from a cell relaxed with GGA-PBE.
Intensities are scaled so that the largest is 100.

Structure:
```
MoH2N
1.0
-1.472 1.472 7.215
1.472 -1.472 7.215
1.472 1.472 -7.215
Mo H N
2 4 2
direct
0.375 0.625 0.750
0.625 0.375 0.250
0.000 0.500 0.500
0.500 0.000 0.000
0.500 0.500 0.000
0.500 0.500 0.500
0.125 0.875 0.250
0.875 0.125 0.750
```

Most intense lines, 5° ≤ 2θ ≤ 70°, in order of rising 2θ:
2θ 24.68, rel. 100
2θ 31.01, rel. 69
2θ 35.76, rel. 43
2θ 43.94, rel. 24
2θ 45.35, rel. 76
2θ 50.60, rel. 14
2θ 54.33, rel. 14

...and this is how she sleeps...

classic Megan Libby (when she was also a Hurst) finger-sucking pose

another example

this is a closeup for those of you who are still unsure of her technique.

Friday, September 12, 2008

Baby's First Hike

Yesterday we went to Mt Pilchuck. We didn't make it all the way to the top, but had a great time anyway.

Violet loves her carrier

AJ returning after backtracking to find a lost bootie

too bright out

She's sound asleep here while the Lone Ranger gets his bearings

"I do a great impression of a hotdog..."

Already showing signs of being a chatterbox...

Violet loves "naked time". Few things make her happier than getting to lie naked on the changing table and talking anyone....including the ceiling.

Monday, September 8, 2008

Baby's First Road Trip

This past weekend we went to Moses Lake to celebrate Trustin's birthday. Here we are at a "scenic lookout" nearby. It was bright out.

those cheeks are only going to get bigger...

Sunday, September 7, 2008

An introduction...

Violet Elaine Hurst
was born July 10th, 2008 at 5:47pm
weighing 6 pounds, 6 ounces and 18 3/4 inches long
(for a very short time)

Here are some pictures to catch you up

First Wink

finally starting to look chubby...

getting the lower half of her face kissed by Daddy

sticking her tongue out. Suprise!